### Work order
Next, transcribe everything below without additions.

### Data
-- begin --
No. 1
First-principles (GGA-PBE) data for an optimized crystal structure of Sm3Ni3Bi4, as listed in Materials Project.

abc: 8.494 8.494 8.494
angles: 109.47 109.47 109.47
Fractional positions:
Sm 0.375 0.625 0.750
Bi 0.000 0.152 0.500
Sm 0.625 0.750 0.375
Bi 0.652 0.500 0.000
Ni 0.375 0.250 0.625
Bi 0.848 0.848 0.848
Bi 0.000 0.652 0.500
Sm 0.250 0.125 0.875
Ni 0.125 0.750 0.875
Sm 0.750 0.375 0.625
Ni 0.625 0.375 0.250
Bi 0.500 0.000 0.652
Bi 0.348 0.348 0.348
Bi 0.500 0.000 0.152
Sm 0.125 0.875 0.250
Ni 0.250 0.625 0.375
Sm 0.875 0.250 0.125
Bi 0.152 0.500 0.000
Ni 0.750 0.875 0.125
Ni 0.875 0.125 0.750

Results
Crystal system: cubic
Magnetic moment: 0.0 Bohr magnetons per cell
Formation energy from the elements: -0.577 eV per atom


No. 2
First-principles (GGA-PBE) data for an optimized crystal structure of SmNiBi, as listed in Materials Project.

abc: 4.646 4.646 4.646
angles: 60.00 60.00 60.00
Fractional positions:
Sm 0.500 0.500 0.500
Ni 0.250 0.250 0.250
Bi 0.000 0.000 0.000

Results
Crystal system: cubic
Formation energy from the elements: -0.668 eV per atom


No. 3
First-principles (GGA-PBE) data for an optimized crystal structure of TbNiBi, as listed in Materials Project.

abc: 4.590 4.590 4.590
angles: 60.00 60.00 60.00
Fractional positions:
Tb 0.500 0.500 0.500
Bi 0.000 0.000 0.000
Ni 0.250 0.250 0.250

Results
Crystal system: cubic
Formation energy from the elements: -0.675 eV per atom


Question: Which of these has the highest formation energy from the elements?
Answer: Sm3Ni3Bi4


1.
First-principles (PBE+U) data for a geometry-optimized Li9Mn2Co5O16 structure, as listed in the Materials Project database.

a = 9.944 Å, b = 2.969 Å, c = 10.057 Å
α = 90.00°, β = 101.29°, γ = 90.00°
Space group Pm (No. 6)
Unique sites:
Li: 0.000 0.000 0.000
Li: 0.000 0.000 0.487
Li: 0.004 0.500 0.252
Li: 0.007 0.500 0.741
Li: 0.528 0.500 0.515
Li: 0.532 0.000 0.748
Li: 0.535 0.500 0.003
Li: 0.539 0.000 0.264
Li: 0.773 0.500 0.375
Mn: 0.264 0.000 0.871
Mn: 0.268 0.500 0.128
Co: 0.265 0.500 0.611
Co: 0.272 0.000 0.382
Co: 0.764 0.000 0.140
Co: 0.765 0.500 0.879
Co: 0.770 0.000 0.618
O: 0.149 0.500 0.442
O: 0.156 0.000 0.697
O: 0.158 0.000 0.174
O: 0.159 0.500 0.936
O: 0.370 0.000 0.061
O: 0.372 0.500 0.822
O: 0.381 0.500 0.301
O: 0.390 0.000 0.575
O: 0.646 0.500 0.186
O: 0.649 0.000 0.941
O: 0.653 0.000 0.463
O: 0.656 0.500 0.698
O: 0.879 0.000 0.799
O: 0.884 0.500 0.566
O: 0.885 0.500 0.048
O: 0.890 0.000 0.296

Calculated values
Total moment, μB per cell: 15.7
Energy above the most stable polymorph in this dataset, eV/atom: 0.092
Energy of formation from the pure elements, meV per atom: -1772

2.
First-principles (PBE+U) data for a geometry-optimized BaCoSe2O6 structure, as listed in the Materials Project database.

a = 15.344 Å, b = 5.556 Å, c = 7.348 Å
α = 90.00°, β = 90.00°, γ = 90.00°
Space group Pnma (No. 62)
Unique sites:
Ba: 0.117 0.250 0.079
Co: 0.125 0.750 0.706
Se: 0.016 0.250 0.628
Se: 0.231 0.250 0.534
O: 0.025 0.011 0.780
O: 0.093 0.750 0.429
O: 0.157 0.750 0.988
O: 0.226 0.007 0.681

Calculated values
Total moment, μB per cell: 12.0
Energy of formation from the pure elements, meV per atom: -1815

3.
First-principles (PBE+U) data for a geometry-optimized MgInNi2SbO6 structure, as listed in the Materials Project database.

a = 5.4122 Å, b = 5.4122 Å, c = 16.0467 Å
α = 90.00°, β = 90.00°, γ = 120.00°
Space group R3 (No. 146, hexagonal axes)
Unique sites:
Mg: 0.0000 0.0000 0.0000
In: 0.0000 0.0000 0.3591
Ni: 0.0000 0.0000 0.1788
Ni: 0.0000 0.0000 0.6127
Sb: 0.0000 0.0000 0.8150
O: 0.0316 0.3583 0.9310
O: 0.0405 0.6808 0.7533

Calculated values
Total moment, μB per cell: 12.0
Energy above the most stable polymorph in this dataset, eV/atom: 0.000
Energy of formation from the pure elements, meV per atom: -1644


A plane-wave DFT calculation with PBE+U was carried out for a relaxed Li4MnP6O18 crystal.

Properties
Space-group type = No. 1
Energy relative to the lowest polymorph listed for this composition = 0.00 eV/f.u.
-- stop --

### Completed
No. 1
First-principles (GGA-PBE) data for an optimized crystal structure of Sm3Ni3Bi4, as listed in Materials Project.

abc: 8.494 8.494 8.494
angles: 109.47 109.47 109.47
Fractional positions:
Sm 0.375 0.625 0.750
Bi 0.000 0.152 0.500
Sm 0.625 0.750 0.375
Bi 0.652 0.500 0.000
Ni 0.375 0.250 0.625
Bi 0.848 0.848 0.848
Bi 0.000 0.652 0.500
Sm 0.250 0.125 0.875
Ni 0.125 0.750 0.875
Sm 0.750 0.375 0.625
Ni 0.625 0.375 0.250
Bi 0.500 0.000 0.652
Bi 0.348 0.348 0.348
Bi 0.500 0.000 0.152
Sm 0.125 0.875 0.250
Ni 0.250 0.625 0.375
Sm 0.875 0.250 0.125
Bi 0.152 0.500 0.000
Ni 0.750 0.875 0.125
Ni 0.875 0.125 0.750

Results
Crystal system: cubic
Magnetic moment: 0.0 Bohr magnetons per cell
Formation energy from the elements: -0.577 eV per atom


No. 2
First-principles (GGA-PBE) data for an optimized crystal structure of SmNiBi, as listed in Materials Project.

abc: 4.646 4.646 4.646
angles: 60.00 60.00 60.00
Fractional positions:
Sm 0.500 0.500 0.500
Ni 0.250 0.250 0.250
Bi 0.000 0.000 0.000

Results
Crystal system: cubic
Formation energy from the elements: -0.668 eV per atom


No. 3
First-principles (GGA-PBE) data for an optimized crystal structure of TbNiBi, as listed in Materials Project.

abc: 4.590 4.590 4.590
angles: 60.00 60.00 60.00
Fractional positions:
Tb 0.500 0.500 0.500
Bi 0.000 0.000 0.000
Ni 0.250 0.250 0.250

Results
Crystal system: cubic
Formation energy from the elements: -0.675 eV per atom


Question: Which of these has the highest formation energy from the elements?
Answer: Sm3Ni3Bi4


1.
First-principles (PBE+U) data for a geometry-optimized Li9Mn2Co5O16 structure, as listed in the Materials Project database.

a = 9.944 Å, b = 2.969 Å, c = 10.057 Å
α = 90.00°, β = 101.29°, γ = 90.00°
Space group Pm (No. 6)
Unique sites:
Li: 0.000 0.000 0.000
Li: 0.000 0.000 0.487
Li: 0.004 0.500 0.252
Li: 0.007 0.500 0.741
Li: 0.528 0.500 0.515
Li: 0.532 0.000 0.748
Li: 0.535 0.500 0.003
Li: 0.539 0.000 0.264
Li: 0.773 0.500 0.375
Mn: 0.264 0.000 0.871
Mn: 0.268 0.500 0.128
Co: 0.265 0.500 0.611
Co: 0.272 0.000 0.382
Co: 0.764 0.000 0.140
Co: 0.765 0.500 0.879
Co: 0.770 0.000 0.618
O: 0.149 0.500 0.442
O: 0.156 0.000 0.697
O: 0.158 0.000 0.174
O: 0.159 0.500 0.936
O: 0.370 0.000 0.061
O: 0.372 0.500 0.822
O: 0.381 0.500 0.301
O: 0.390 0.000 0.575
O: 0.646 0.500 0.186
O: 0.649 0.000 0.941
O: 0.653 0.000 0.463
O: 0.656 0.500 0.698
O: 0.879 0.000 0.799
O: 0.884 0.500 0.566
O: 0.885 0.500 0.048
O: 0.890 0.000 0.296

Calculated values
Total moment, μB per cell: 15.7
Energy above the most stable polymorph in this dataset, eV/atom: 0.092
Energy of formation from the pure elements, meV per atom: -1772

2.
First-principles (PBE+U) data for a geometry-optimized BaCoSe2O6 structure, as listed in the Materials Project database.

a = 15.344 Å, b = 5.556 Å, c = 7.348 Å
α = 90.00°, β = 90.00°, γ = 90.00°
Space group Pnma (No. 62)
Unique sites:
Ba: 0.117 0.250 0.079
Co: 0.125 0.750 0.706
Se: 0.016 0.250 0.628
Se: 0.231 0.250 0.534
O: 0.025 0.011 0.780
O: 0.093 0.750 0.429
O: 0.157 0.750 0.988
O: 0.226 0.007 0.681

Calculated values
Total moment, μB per cell: 12.0
Energy of formation from the pure elements, meV per atom: -1815

3.
First-principles (PBE+U) data for a geometry-optimized MgInNi2SbO6 structure, as listed in the Materials Project database.

a = 5.4122 Å, b = 5.4122 Å, c = 16.0467 Å
α = 90.00°, β = 90.00°, γ = 120.00°
Space group R3 (No. 146, hexagonal axes)
Unique sites:
Mg: 0.0000 0.0000 0.0000
In: 0.0000 0.0000 0.3591
Ni: 0.0000 0.0000 0.1788
Ni: 0.0000 0.0000 0.6127
Sb: 0.0000 0.0000 0.8150
O: 0.0316 0.3583 0.9310
O: 0.0405 0.6808 0.7533

Calculated values
Total moment, μB per cell: 12.0
Energy above the most stable polymorph in this dataset, eV/atom: 0.000
Energy of formation from the pure elements, meV per atom: -1644


A plane-wave DFT calculation with PBE+U was carried out for a relaxed Li4MnP6O18 crystal.

Properties
Space-group type = No. 1
Energy relative to the lowest polymorph listed for this composition = 0.00 eV/f.u.